Dec 26, 2007 23:17
The page is interrupted by quantum chemistry results:
a | 8
Properties=species:S:1:pos:R:3 method="wB97M-V/def2-TZVPD" smiles=[S-]p1nccn1 total_charge=-1 orbital_gap_ev=7.132
S 4.177 -0.090 -0.749
P 3.038 0.156 0.825
N 1.854 -1.051 0.695
C 0.724 -0.598 0.277
C 0.618 0.831 0.012
N 1.603 1.598 0.133
H -0.154 -1.196 0.016
H -0.370 1.311 -0.373



b | 8
Properties=species:S:1:pos:R:3 method="wB97M-V/def2-TZVPD" smiles=[S-]p1nccn1 total_charge=-1 orbital_gap_ev=7.132
S 3.037 -0.155 -0.669
P 1.551 0.007 0.613
N 0.407 -1.170 0.278
C -0.764 -0.701 0.040
C -0.887 0.743 -0.067
N 0.146 1.459 0.068
H -1.620 -1.368 -0.023
H -1.870 1.185 -0.240



Energies, relative to the best one, in hartree: a 0.0103; b 0.0000.



a | 7
Properties=species:S:1:pos:R:3 method="wB97M-V/def2-TZVPD" total_charge=0 orbital_gap_ev=9.308
O -0.539 1.654 -1.081
C 0.126 0.723 -0.706
N -0.556 -0.047 0.534
N 0.130 -1.079 0.849
N 1.139 -1.456 0.438
O 1.188 0.130 -0.943
H -1.488 0.076 0.910



b | 7
Properties=species:S:1:pos:R:3 method="wB97M-V/def2-TZVPD" smiles=Oc1nnon1 total_charge=0 orbital_gap_ev=11.487
O -1.731 -0.181 0.010
C -0.397 -0.291 -0.130
N 0.186 0.920 -0.224
N 1.415 0.712 0.025
O 1.657 -0.593 0.031
N 0.406 -1.244 -0.140
H -1.536 0.677 0.428



c | 7
Properties=species:S:1:pos:R:3 method="wB97M-V/def2-TZVPD" smiles="O=c1[nH]nno1" total_charge=0 orbital_gap_ev=11.301
O 1.920 -0.623 0.059
C 0.725 -0.519 -0.062
N 0.030 0.690 0.300
N -1.252 0.634 0.036
N -1.634 -0.427 -0.406
O -0.221 -1.333 -0.491
H 0.431 1.578 0.565



Energies, relative to the best one, in hartree: a 0.0170; b 0.0620; c 0.0000.



a | 60
Properties=species:S:1:pos:R:3 method="wB97M-V/def2-TZVPD" total_charge=0 orbital_gap_ev=7.806
C -2.757 -1.843 -1.249
N -1.948 -1.436 0.007
C -0.596 -1.140 -0.258
C -0.054 0.073 0.122
C 1.307 0.464 -0.115
C 1.808 1.099 -1.168
H -3.764 -1.616 -0.995
H -2.281 -1.283 -2.114
H -2.626 -2.867 -1.526
H -2.510 -0.650 0.358
H -0.046 -1.869 -0.818
H -0.724 0.835 0.491
H 2.124 0.227 0.607
H 2.925 1.298 -1.001
H 1.454 1.700 -1.978
H 0.391 -1.019 -3.801
H -0.702 -1.740 -2.785
O -0.025 -1.879 -3.421
H 1.324 -3.085 -2.888
H 1.795 -3.601 -1.624
O 2.209 -3.211 -2.397
H 3.561 -1.681 -2.623
H 3.907 -0.258 -1.851
O 3.736 -0.754 -2.695
H -1.297 -3.975 0.671
H -0.973 -3.875 2.260
O -0.724 -4.230 1.412
H 0.204 -2.270 2.009
H 1.096 -3.336 2.200
O 1.178 -2.390 2.306
H -2.470 1.157 -2.811
H -1.639 1.962 -1.761
O -2.376 1.360 -1.882
H -0.166 3.625 1.210
H 1.214 2.999 0.655
O 0.647 3.835 0.761
H 0.587 3.325 -1.797
H -0.695 3.565 -1.099
O -0.357 3.239 -1.936
H -1.723 1.714 1.998
H -2.067 2.502 3.138
O -1.348 2.457 2.493
H 2.737 1.814 2.349
H 3.352 2.906 1.625
O 2.766 2.164 1.426
H 0.696 0.668 -3.329
H 1.991 -0.249 -3.541
O 1.240 0.190 -3.998
H 0.497 0.707 4.597
H -0.495 1.892 4.227
O -0.297 0.960 4.132
H -4.651 0.729 0.395
H -3.623 1.203 -0.735
O -3.768 1.110 0.253
H -0.900 -0.047 2.885
H -2.093 -0.769 2.260
O -1.209 -0.474 2.065
H 1.418 0.342 2.979
H 2.418 -0.739 3.008
O 2.324 0.167 3.299



b | 60
First off, thank you to all who responded via e-mail or LJ sending healing thoughts and best wishes. I showed many of them to my Mom and they were very appreciated by both of us.
Dad is still in the hospital and he is doing reasonably well. He is having little pain or problems with the incision/surgery. Most of his discomfort and issues tend to be from swelling/bloating from fluid retention. He has been on IV fluids (lactated ringers) since the surgery and he is getting "full". They started him on a liquid diet yesterday or today (I'm not sure which). He was supposed to start the liquid diet earlier but he was not "processing" his intake as much as they wanted. He is supposed to be up and walking and sitting upright 4 times a day to help with this. Once things start moving well, he can move on from liquid to soft to normal foods. Once he can handle normal food he can come home.
So Dad ended up spending Christmas in the hospital; not the funniest place to spend a holiday. Earlier in the week (don't remember when ... Sun? Mon?) I stopped at Jo-Ann's (It was Sun after all, I remember now) and picked up a little 12"(?) fake tree, a holiday candle holder wreath to set it in, and three fake poinsettias (one for Dad, two for home around the tree) and took these up to his room and set them out on his end table there and positioned it where he could see it. When Mom and I decorated the tree (and put the lights on, and off, and on again once we realized we didn't need a plug at the top for the Angel; she doesn't have an electric halo since Mom refitted her) I video-taped the proceedings so Dad can watch it later. We took a few presents up to the hospital yesterday to open. (I also video-taped that and opening presents at home and Christmas dinner as well) We brought up a book Mom got for Dad, a gift I bought for them both, and a couple presents from them to me (gifts that were both my Dad's idea). The book was the 20th Anniversary "Bathroom Reader", I bought them a digital picture frame (which I loaded up today with pictures from this week and last month's Thanksgiving.) The gifts from Dad and Mom was a CD that Dad was showing/playing for me at Thanksgiving (they had two copies) and a current MSU Yearbook (it seems they had an over-run or something and were giving away extras) It has lots of info about MSU. Dad picked one up earlier and picked up another one when they had more free copies.
Tommorow my uncle, his wife (Dad's brother and SIL) and Grandma are coming down to visit. Grandma is going to stay for a while but Brother and SIL are coming for the day, spending the night, and probably going home on Friday.
Hmm, anything else to add? I've been up to the hospital every day for at least a few hours, been eating some in the hospital cafeteria (food is not bad, had fried shrimp the other day, tonight's selection wasn't too impressive), been trying to stay cheerful. We had some snow for Christmas. We had a bunch from the previous weekend, mostly melted, got some flurries Mon/Tue so we had some white on Christmas, and mostly melted again now (though the mud in the driveway seems to be frozen again). We had more snow on Thanksgiving then we had for Christmas but both ended up being "white"